**Contents**
____________
A cluster of 10 separate species, C62H124Cl8N6O6 in total in a non-equilibrium geometry, computed with ωB97M-V with the def2-TZVPD basis set.

DFT total energy   -187693.50091 eV
2S+1   7
LUMO energy (alpha / beta)   0.461 / -0.648 eV
HOMO (alpha / beta)   -8.870 / -9.458 eV
⟨S²⟩   12.0328

Last column: Löwdin charge in e.
CARTESIAN COORDINATES (ANGSTROEM)
C (-0.586, -3.313, 4.396)  -0.0049
C (0.549, -2.297, 4.947)  -0.4167
C (0.668, -2.661, 6.458)  -0.1562
C (1.800, -1.970, 7.222)  -0.1818
C (3.070, -2.248, 6.454)  -0.1701
C (3.065, -1.872, 5.008)  -0.5307
N (1.916, -2.431, 4.399)  -0.0030
O (1.909, -2.324, 2.902)  -0.0362
C (3.191, -0.333, 4.837)  -0.0098
C (4.379, -2.434, 4.423)  -0.0362
C (-0.097, -0.867, 4.877)  -0.0449
H (-0.706, -3.345, 3.313)  0.0676
H (-1.507, -3.301, 4.978)  0.0867
H (-0.082, -4.245, 4.651)  0.0728
H (-0.236, -2.285, 6.939)  0.1117
H (0.471, -3.667, 6.827)  0.1190
H (1.935, -2.314, 8.247)  0.1184
H (1.576, -0.905, 7.285)  0.1046
H (3.171, -3.303, 6.708)  0.1314
H (3.841, -1.740, 7.033)  0.1253
H (3.931, 0.051, 5.539)  0.0931
H (3.526, -0.072, 3.834)  0.0815
H (2.259, 0.218, 4.964)  0.0470
H (5.261, -2.159, 5.002)  0.0863
H (4.411, -3.520, 4.504)  0.0871
H (4.675, -2.199, 3.401)  0.0766
H (0.300, -0.156, 5.602)  0.0615
H (-1.158, -0.915, 5.125)  0.0867
H (-0.118, -0.466, 3.864)  0.0700
C (0.077, -4.889, -0.756)  -0.0565
C (-0.662, -6.187, -1.030)  -0.5198
C (0.128, -6.779, -2.226)  -0.1509
C (-0.209, -8.243, -2.589)  -0.1692
C (0.038, -9.048, -1.289)  -0.1399
C (-0.729, -8.579, -0.041)  -0.4509
N (-0.477, -7.071, 0.125)  -0.0104
O (-1.020, -6.575, 1.372)  -0.0416
C (-2.239, -8.910, -0.050)  -0.0332
C (-0.140, -9.457, 1.083)  -0.0583
C (-2.055, -5.838, -1.354)  -0.0354
H (1.123, -5.013, -0.476)  0.0559
H (-0.462, -4.398, 0.054)  0.0781
H (0.185, -4.110, -1.511)  0.0674
H (-0.182, -6.271, -3.138)  0.1150
H (1.189, -6.529, -2.238)  0.0354
H (0.164, -8.662, -3.523)  0.0981
H (-1.268, -8.310, -2.841)  0.0960
H (1.110, -9.189, -1.146)  0.1245
H (-0.448, -9.954, -1.651)  0.1165
H (-2.838, -8.293, 0.620)  0.0880
H (-2.656, -8.935, -1.057)  0.0689
H (-2.408, -9.949, 0.236)  0.0807
H (-0.027, -10.525, 0.896)  0.0882
H (0.891, -9.158, 1.275)  0.0809
H (-0.673, -9.309, 2.022)  0.0804
H (-2.669, -6.648, -1.747)  0.0808
H (-2.152, -5.066, -2.118)  0.0706
H (-2.611, -5.436, -0.508)  0.0910
C (-1.995, 4.182, 2.506)  -0.0164
C (-0.685, 3.506, 3.096)  -0.4298
C (-0.084, 2.588, 1.965)  -0.1204
C (1.263, 1.887, 2.326)  -0.1684
C (2.285, 2.989, 2.686)  -0.1470
C (1.773, 4.011, 3.747)  -0.4300
N (0.371, 4.435, 3.417)  -0.0287
O (0.023, 5.715, 4.101)  -0.0474
C (2.037, 3.338, 5.161)  -0.0095
C (2.781, 5.198, 3.567)  -0.0412
C (-1.099, 2.608, 4.348)  -0.0042
H (-2.705, 3.414, 2.199)  0.0686
H (-1.817, 4.791, 1.619)  0.0627
H (-2.564, 4.773, 3.223)  0.0799
H (-0.854, 1.897, 1.621)  0.0940
H (0.233, 3.107, 1.061)  0.0933
H (1.785, 1.348, 1.536)  0.0691
H (1.148, 1.164, 3.134)  0.0688
H (2.586, 3.494, 1.768)  0.0889
H (3.195, 2.556, 3.102)  0.1085
H (3.027, 2.887, 5.225)  0.0722
H (2.070, 4.034, 6.000)  0.0835
H (1.337, 2.516, 5.312)  0.0508
H (2.551, 6.001, 4.268)  0.0715
H (3.811, 4.860, 3.684)  0.0869
H (2.671, 5.678, 2.595)  0.0719
H (-1.230, 3.205, 5.251)  0.0888
H (-0.442, 1.766, 4.566)  0.0311
H (-2.104, 2.201, 4.242)  0.0782
C (4.863, 4.052, -0.856)  -0.0274
C (3.589, 3.943, -1.675)  -0.4921
C (2.570, 4.898, -1.094)  -0.1579
C (2.700, 6.336, -1.507)  -0.1690
C (2.909, 6.526, -3.063)  -0.0970
C (4.040, 5.578, -3.695)  -0.4465
N (3.828, 4.184, -3.137)  0.0051
O (4.548, 3.129, -3.882)  -0.0451
C (3.716, 5.728, -5.188)  -0.0630
C (5.467, 6.171, -3.479)  -0.0278
C (3.065, 2.547, -1.416)  -0.0637
H (4.839, 3.539, 0.106)  0.0893
H (5.316, 5.037, -0.742)  0.0748
H (5.646, 3.531, -1.407)  0.0783
H (1.542, 4.606, -1.310)  0.1010
H (2.754, 5.078, -0.035)  0.1110
H (3.460, 6.839, -0.910)  0.1078
H (1.757, 6.824, -1.261)  0.1046
H (3.182, 7.556, -3.293)  0.1142
H (1.999, 6.207, -3.571)  0.0860
H (4.448, 5.194, -5.795)  0.0775
____________

**Request**
Could you restate everything above unchanged?

**Solution**
A cluster of 10 separate species, C62H124Cl8N6O6 in total in a non-equilibrium geometry, computed with ωB97M-V with the def2-TZVPD basis set.

DFT total energy   -187693.50091 eV
2S+1   7
LUMO energy (alpha / beta)   0.461 / -0.648 eV
HOMO (alpha / beta)   -8.870 / -9.458 eV
⟨S²⟩   12.0328

Last column: Löwdin charge in e.
CARTESIAN COORDINATES (ANGSTROEM)
C (-0.586, -3.313, 4.396)  -0.0049
C (0.549, -2.297, 4.947)  -0.4167
C (0.668, -2.661, 6.458)  -0.1562
C (1.800, -1.970, 7.222)  -0.1818
C (3.070, -2.248, 6.454)  -0.1701
C (3.065, -1.872, 5.008)  -0.5307
N (1.916, -2.431, 4.399)  -0.0030
O (1.909, -2.324, 2.902)  -0.0362
C (3.191, -0.333, 4.837)  -0.0098
C (4.379, -2.434, 4.423)  -0.0362
C (-0.097, -0.867, 4.877)  -0.0449
H (-0.706, -3.345, 3.313)  0.0676
H (-1.507, -3.301, 4.978)  0.0867
H (-0.082, -4.245, 4.651)  0.0728
H (-0.236, -2.285, 6.939)  0.1117
H (0.471, -3.667, 6.827)  0.1190
H (1.935, -2.314, 8.247)  0.1184
H (1.576, -0.905, 7.285)  0.1046
H (3.171, -3.303, 6.708)  0.1314
H (3.841, -1.740, 7.033)  0.1253
H (3.931, 0.051, 5.539)  0.0931
H (3.526, -0.072, 3.834)  0.0815
H (2.259, 0.218, 4.964)  0.0470
H (5.261, -2.159, 5.002)  0.0863
H (4.411, -3.520, 4.504)  0.0871
H (4.675, -2.199, 3.401)  0.0766
H (0.300, -0.156, 5.602)  0.0615
H (-1.158, -0.915, 5.125)  0.0867
H (-0.118, -0.466, 3.864)  0.0700
C (0.077, -4.889, -0.756)  -0.0565
C (-0.662, -6.187, -1.030)  -0.5198
C (0.128, -6.779, -2.226)  -0.1509
C (-0.209, -8.243, -2.589)  -0.1692
C (0.038, -9.048, -1.289)  -0.1399
C (-0.729, -8.579, -0.041)  -0.4509
N (-0.477, -7.071, 0.125)  -0.0104
O (-1.020, -6.575, 1.372)  -0.0416
C (-2.239, -8.910, -0.050)  -0.0332
C (-0.140, -9.457, 1.083)  -0.0583
C (-2.055, -5.838, -1.354)  -0.0354
H (1.123, -5.013, -0.476)  0.0559
H (-0.462, -4.398, 0.054)  0.0781
H (0.185, -4.110, -1.511)  0.0674
H (-0.182, -6.271, -3.138)  0.1150
H (1.189, -6.529, -2.238)  0.0354
H (0.164, -8.662, -3.523)  0.0981
H (-1.268, -8.310, -2.841)  0.0960
H (1.110, -9.189, -1.146)  0.1245
H (-0.448, -9.954, -1.651)  0.1165
H (-2.838, -8.293, 0.620)  0.0880
H (-2.656, -8.935, -1.057)  0.0689
H (-2.408, -9.949, 0.236)  0.0807
H (-0.027, -10.525, 0.896)  0.0882
H (0.891, -9.158, 1.275)  0.0809
H (-0.673, -9.309, 2.022)  0.0804
H (-2.669, -6.648, -1.747)  0.0808
H (-2.152, -5.066, -2.118)  0.0706
H (-2.611, -5.436, -0.508)  0.0910
C (-1.995, 4.182, 2.506)  -0.0164
C (-0.685, 3.506, 3.096)  -0.4298
C (-0.084, 2.588, 1.965)  -0.1204
C (1.263, 1.887, 2.326)  -0.1684
C (2.285, 2.989, 2.686)  -0.1470
C (1.773, 4.011, 3.747)  -0.4300
N (0.371, 4.435, 3.417)  -0.0287
O (0.023, 5.715, 4.101)  -0.0474
C (2.037, 3.338, 5.161)  -0.0095
C (2.781, 5.198, 3.567)  -0.0412
C (-1.099, 2.608, 4.348)  -0.0042
H (-2.705, 3.414, 2.199)  0.0686
H (-1.817, 4.791, 1.619)  0.0627
H (-2.564, 4.773, 3.223)  0.0799
H (-0.854, 1.897, 1.621)  0.0940
H (0.233, 3.107, 1.061)  0.0933
H (1.785, 1.348, 1.536)  0.0691
H (1.148, 1.164, 3.134)  0.0688
H (2.586, 3.494, 1.768)  0.0889
H (3.195, 2.556, 3.102)  0.1085
H (3.027, 2.887, 5.225)  0.0722
H (2.070, 4.034, 6.000)  0.0835
H (1.337, 2.516, 5.312)  0.0508
H (2.551, 6.001, 4.268)  0.0715
H (3.811, 4.860, 3.684)  0.0869
H (2.671, 5.678, 2.595)  0.0719
H (-1.230, 3.205, 5.251)  0.0888
H (-0.442, 1.766, 4.566)  0.0311
H (-2.104, 2.201, 4.242)  0.0782
C (4.863, 4.052, -0.856)  -0.0274
C (3.589, 3.943, -1.675)  -0.4921
C (2.570, 4.898, -1.094)  -0.1579
C (2.700, 6.336, -1.507)  -0.1690
C (2.909, 6.526, -3.063)  -0.0970
C (4.040, 5.578, -3.695)  -0.4465
N (3.828, 4.184, -3.137)  0.0051
O (4.548, 3.129, -3.882)  -0.0451
C (3.716, 5.728, -5.188)  -0.0630
C (5.467, 6.171, -3.479)  -0.0278
C (3.065, 2.547, -1.416)  -0.0637
H (4.839, 3.539, 0.106)  0.0893
H (5.316, 5.037, -0.742)  0.0748
H (5.646, 3.531, -1.407)  0.0783
H (1.542, 4.606, -1.310)  0.1010
H (2.754, 5.078, -0.035)  0.1110
H (3.460, 6.839, -0.910)  0.1078
H (1.757, 6.824, -1.261)  0.1046
H (3.182, 7.556, -3.293)  0.1142
H (1.999, 6.207, -3.571)  0.0860
H (4.448, 5.194, -5.795)  0.0775